Harrison, MI
age: 53
Junk mail at your e/mail
address,how do I stop it?
I have called my internet
provider asking how to stop
it,I have good software,they
still get through.I block and
bounce the sender.Is there
something more I can do?
-- begin --
An isolated molecule of C2H5N3O2 in a non-equilibrium geometry, computed with ωB97M-V with the def2-TZVPD basis set.

Values from the calculation:
- total energy (eV) = -10716.4480
- max |F| (eV/Å) = 4.67
- energy above the lowest of the compared OMol25 structures with the same formula, charge and spin (kJ/mol) = 517.38
- gap between HOMO and LUMO (eV) = 9.707
- charge = 0
- SMILES string = NNC(=O)/C=N/O
- HOMO (eV) = -9.86
- LUMO (eV) = -0.2

CARTESIAN COORDINATES (ANGSTROEM)
O 1.373 2.103 0.538
O 1.004 -2.406 -0.144
N 0.236 -1.264 -0.191
N -1.762 0.473 -0.090
N -0.701 1.507 -0.324
C 0.585 1.206 0.159
C 1.000 -0.233 0.001
H -1.832 0.035 -1.020
H 0.355 -3.264 0.067
H -1.237 -0.238 0.686
H -1.050 2.469 0.049
H 2.027 -0.388 0.269

natural (NBO) population analysis, charges in e, atoms 1 to 2:
1 O -0.5688
2 O -0.5502


1.
Molecular formula: CBrIN4
Method: DFT, the ωB97M-V functional and the def2-TZVPD basis

Positions of all 7 atoms, in Å:
N -0.372 -0.105 -1.770
N 0.889 -0.588 0.943
Br 1.567 1.881 -0.137
C -1.245 0.069 -1.053
N 1.721 0.090 0.396
I -2.823 0.058 0.198
N 0.263 -1.405 1.423

Properties
**Electronic energy**: -85136.338 eV
**Frontier orbital gap**: 8.794 eV
**Charge**: 0
**HOMO level**: -9.646 eV
**Relative energy (zero: lowest compared OMol25 entry of this formula, charge and spin)**: 35.27 kcal/mol

---

2.
Molecular formula: C52H57N4O12
Method: DFT, the ωB97M-V functional and the def2-TZVPD basis

Positions of all 125 atoms, in Å:
C -2.062 -3.918 0.377
H 4.845 4.552 2.296
C -4.266 -2.330 0.858
C 1.190 0.422 5.312
H 2.905 2.545 -2.287
C 1.058 -1.999 5.212
H 1.859 -0.492 2.172
H -1.577 3.223 -4.961
C 3.674 5.916 4.163
C -0.229 4.202 -1.120
H -0.953 -4.638 2.457
H 2.860 -2.055 -1.288
H -1.713 -1.597 -4.136
C -2.300 2.390 -4.487
H -3.937 -2.215 -2.294
H 1.300 -4.404 -3.005
H -1.237 -4.730 0.292
H 2.600 -3.071 4.395
O -5.663 0.674 2.544
H 1.288 3.294 3.188
O -1.270 4.028 2.541
H -0.389 -0.841 5.823
H -2.217 -7.216 -1.493
H -4.977 -1.582 0.951
C -1.186 -7.187 -1.300
C 0.468 -0.763 5.497
O 6.658 -0.003 -6.409
H -6.267 0.996 1.778
C -0.254 -1.116 -0.148
H 2.813 -7.143 -0.861
C 2.968 -0.274 -4.170
O 4.119 4.095 2.572
H -3.493 -2.449 2.956
H 0.314 -2.903 5.192
C -3.433 -2.840 2.016
H -3.718 4.361 -5.350
H 6.359 0.159 -3.933
C 4.244 0.157 -3.567
C 0.813 -8.196 -0.546
C -4.219 0.499 -3.816
N 0.798 -1.484 0.642
H 0.000 4.977 4.847
H 3.126 7.535 5.666
C -2.402 3.231 2.485
C 5.460 0.138 -5.744
H 4.015 0.165 -7.385
O -1.486 -3.995 2.698
C -0.522 -6.014 -1.846
H -3.414 4.585 1.259
C 1.042 5.060 4.569
H -0.522 -1.542 -1.013
N 3.075 -1.025 4.607
H -1.585 1.878 3.730
C 5.421 0.146 -4.377
C -2.293 2.031 3.169
H 1.293 -3.176 -0.284
C -0.565 -8.219 -0.726
H -1.159 4.858 2.044
O -2.628 -1.279 -3.834
C 2.405 -2.105 4.698
H -1.819 1.799 -0.055
C 0.072 0.563 1.185
H 0.905 1.441 5.711
H -3.197 0.393 3.718
O -4.484 -2.062 -1.492
C 1.048 4.576 -0.398
H 3.151 1.122 4.854
O 1.936 -0.223 -3.291
C 0.903 -5.890 -1.742
C -3.469 2.910 -4.181
C 1.960 4.116 3.751
-- stop --
I started a thread in the
Chat Room on 2 e/mails that
were sent to me.Nasty Porno
material,involving kids.
All help will be Greatly
Appreciated.Thank You.
Bend, OR
age: 60
Junk mail is one thing...we all get it, and would LIKE to rid ourselves of it...
dream on.
porno with children is unacceptable.
[These quantum chemistry results were left in the piece by mistake]
'''
C9H15INP | ωB97M-V/def2-TZVPD

Geometry as XYZ:
```
27
Properties=species:S:1:pos:R:3:forces:R:3
I 0.426 2.707 -0.206 -0.0730 -0.1934 0.0482
H 2.438 0.573 -0.141 -1.1884 1.0526 -1.0617
C 0.919 -0.146 -1.423 -2.2518 -3.1051 -0.9947
C 0.231 -0.658 1.052 0.8854 3.5490 0.1337
H 1.450 -1.168 -1.447 -0.2822 1.4598 -0.1084
H 1.379 -0.793 0.973 -1.8837 -0.4686 0.8851
C -0.221 -0.324 -0.431 -0.4247 -0.0171 1.6105
C -0.753 -1.650 1.653 2.2957 0.4178 0.4612
C -0.648 -3.102 1.193 -0.4765 0.8822 1.6111
H -1.165 -3.741 1.831 -0.3637 -1.3981 1.0467
C -0.997 0.985 -0.528 -0.7774 -0.5956 3.8066
H 2.236 5.035 0.142 0.3112 -0.5478 -0.1443
N 1.630 5.831 0.246 0.2402 0.5115 -0.0278
H 0.267 -0.125 -2.388 1.8903 0.6250 0.8804
C -1.048 -1.564 -0.780 -1.5886 1.1671 -0.7908
H -1.346 1.170 -1.469 -0.9154 0.4319 -2.6235
P 0.221 5.871 0.826 -0.6846 0.1630 0.2147
H 0.038 0.358 1.640 0.9157 -2.0120 -0.9137
H -2.608 -2.280 0.718 0.1469 -0.2026 -0.4174
H -1.879 1.116 0.208 1.6421 -0.1797 -0.9411
H -1.102 -1.381 2.655 -0.2145 -0.4552 -0.5560
H -0.338 -2.121 -1.402 -0.5931 -0.8782 0.3338
C 1.733 0.961 -0.973 3.4588 -0.0507 -0.5078
C -1.538 -2.175 0.548 -2.0066 0.7570 -2.5485
H 2.386 1.337 -1.802 -0.5295 0.2067 0.8804
H -1.920 -1.258 -1.442 0.9143 -0.5729 0.6223
H 0.214 -3.457 0.746 1.5533 -0.5467 -0.8990
```
Forces are in eV/Å.

Values from the calculation:
E: -28449.43251 eV
Lowest unoccupied orbital energy (alpha / beta): -0.104 / -0.334 eV
Orbital gap (alpha / beta): 5.97 / 6.61 eV
Charge: 0
Molar mass: 295.10 g mol⁻¹
Maximum force: 3.96 eV/A
'''
A person can trace the headers, and turn that information over to the legal authorities.
They are looking to shut down these obnoxious mailings,
but need to be given the *headers* (trace of the address of the sending machine)
in order to put cases together...I know where do you start...
I would also be concerned about the trojans, and malicious tracing cookies, or key loggers they may have installed on YOUR computer. Please do a virus scan, to locate and remove any objectionable key loggers or virus stuff they may have left behind.
Do you have these maintenance programs installed at this time?
Galion, OH
age: 47
A couple ways to approach it.
First, where do you get your mail through. While I am not an advocate of AOL, I do have a mail box with them and it is the cleanest in regards to unwanted SPAM (OK, that's redundant, SPAM by definition is unwanted )
Next, some email clients will allow you to subscribe to SPAM filtering services. Many of these are free. I use Mozilla Thunderbird and have it use SpamAssassin. This will set up to automatically delete these messages.
Hope this helps.
Jacksonville, FL
age: 54
Be very particular who you give your email address to. If you get an email that says at the bottom you can "unsubscribe by clicking this link" DON'T do it. It's actually a way for the sender to verify it works and you will get more junk.
Like others said before me it depends on what service you are using. But I wouldn't pay something extra to avoid junk. I think maybe you're on someones mailings list (just like you get mail from the post office).
The sender of the email will probably have different "sent-from" addresses. Heck if I wanted to I could create at least 15 different email addresses with different names etc. right now.
To solve your problem it depends on what service you are using and "how" you give your address out. Someone earlier mentioned looking at the header info. It may not be pretty to look at but it gives useful info. Your ISP would probably find it helpful to send it to them.
Just my opinions. Robin
Saint James, MO
age: 88
I have 4 email accounts...one never gets any mail!...the one i use for as my throw away email is actually the next cleanest....i think sites "look" into computers and get the isp email address, because i get email there from sites that i have never given that address to....
i use the check all and delete after a quick review of subjects and senders.
i think once an address is out and known by spammers you are screwed...
yahoo offers a free email with filters and virus check...use it for friends and email that you want to receive...you can upload mail from your isp box......
get another throw away account for signing up at sites!
does anyone know of a way to keep a computer from being scanned for isp info?
Burlington, IA
age: 54 online now!
With some email programs you can set it to not accept any mail that is not sent from those in your contact list. The rest go into the junk mail folder.
# Someone pasted data records at this point
-- begin --
Entry 1:
The following is a quantum chemistry calculation of a 8-piece molecular cluster, C10H36N2O8 overall, from the Open Molecules 2025 dataset.

```
56
Properties=species:S:1:pos:R:3
N 1.158 -0.250 -2.160
C 0.817 -0.139 -0.890
N -0.180 0.652 -0.687
O 1.580 -0.572 -0.014
H 0.330 -0.228 -2.738
H 2.028 -0.754 -2.251
H -0.923 0.558 -1.365
H -0.409 0.865 0.273
C -4.308 2.488 -1.430
C -3.720 1.189 -1.095
O -3.739 1.005 0.327
H -4.557 2.535 -2.490
H -3.569 3.252 -1.184
H -5.254 2.659 -0.916
H -2.679 1.192 -1.418
H -4.239 0.317 -1.494
H -3.198 1.758 0.577
C -2.578 -1.812 3.929
C -2.746 -0.525 3.068
O -4.119 -0.372 2.823
H -3.353 -2.523 3.643
H -2.521 -1.588 4.995
H -1.608 -2.300 3.836
H -2.261 -0.623 2.097
H -2.460 0.299 3.723
H -4.242 0.195 2.058
C 3.408 1.347 2.466
O 2.275 0.502 2.695
H 3.477 1.980 3.351
H 4.250 0.677 2.295
H 3.169 1.872 1.541
H 1.978 0.051 1.902
C 3.396 -3.047 0.140
O 2.149 -2.865 0.715
H 3.193 -3.537 -0.812
H 4.006 -2.151 0.024
H 3.809 -3.834 0.770
H 1.800 -1.981 0.585
C -0.447 2.452 2.192
O -1.528 2.761 1.367
H -0.536 1.421 2.535
H 0.449 2.530 1.576
H -0.360 3.074 3.084
H -1.606 3.717 1.334
C -1.965 -0.894 -3.629
O -0.775 -0.290 -4.154
H -1.867 -0.997 -2.548
H -2.878 -0.353 -3.876
H -2.057 -1.929 -3.960
H -0.848 -0.195 -5.107
C 5.887 -1.530 -2.708
O 4.918 -0.552 -2.596
H 6.013 -1.672 -3.782
H 6.766 -1.445 -2.069
H 5.454 -2.519 -2.563
H 5.217 0.126 -1.985
```

Computed properties:
Kohn-Sham gap	9.0	eV
HOMO	-8.77	eV


Entry 2:
The following is a quantum chemistry calculation of an isolated ion of composition C4H11N2O2 and charge +1, from the Open Molecules 2025 dataset.

```
19
Properties=species:S:1:pos:R:3
N 0.571 1.292 1.380
C 1.034 -0.123 1.443
C 1.440 -0.577 0.034
N 0.594 0.043 -0.960
C -0.588 -0.637 -1.468
C -1.805 -0.034 -0.777
O -1.758 0.873 0.025
O -2.939 -0.630 -1.123
H 1.342 1.952 1.289
H -0.089 1.340 0.578
H 0.088 1.545 2.241
H 0.218 -0.723 1.760
H 1.865 -0.262 2.129
H 1.388 -1.663 -0.001
H 2.498 -0.442 -0.202
H 1.133 0.346 -1.757
H -0.614 -0.553 -2.550
H -0.712 -1.699 -1.209
H -3.665 -0.047 -0.831
```

Computed properties:
Kohn-Sham gap	10.8	eV
total charge	+1
HOMO	-13.87	eV


Entry 3:
The following is a quantum chemistry calculation of a 2-piece molecular cluster, C4H9I2N2 overall, from the Open Molecules 2025 dataset.

```
17
Properties=species:S:1:pos:R:3
C -0.190 0.643 -1.509
C -0.126 1.801 1.755
C 1.228 -1.193 -0.941
C 0.206 -2.261 -0.529
N 0.977 -0.056 -1.439
N -1.433 1.681 1.916
I -2.155 0.140 -0.917
I 1.199 0.381 2.368
H -0.058 1.581 -2.096
H 0.226 2.694 1.247
H 2.283 -1.387 -0.766
H 0.939 -3.050 -0.420
H -0.451 -2.373 -1.382
H -0.398 -2.036 0.402
H 1.683 0.237 -2.071
H -1.732 0.783 2.343
H -2.200 2.413 2.038
```

Computed properties:
Kohn-Sham gap (spin up / spin down)	5.4 / 5.4	eV
total charge	+1
HOMO (spin up / spin down)	-10.33 / -10.34	eV


Entry 4:
The following is a quantum chemistry calculation of a 2-piece molecular cluster, C3H11N2 overall, from the Open Molecules 2025 dataset.

```
16
-- stop --
Using Outlook is far better than using Outlook Express, or if you have Vista, it's now called Windows Mail. Outlook has better filters for this. Microsoft also has a little utility called Junk E-Mail Reporting Tool. It installs in Outlook 2003 and 2007. You get a spam email, you just select the email and press a button to send it to the junk mail folder and report it to Microsoft. This is used to help update their junk email filters that they put out every month.